**Data**
'''
First-principles (GGA+U) data for Na4Mn2AsC4O16 after structural relaxation, as listed in the Materials Project.

Values from the calculation:
VASP energy   -6.663 eV per atom

Cell lengths 13.780, 14.299, 14.437 Å; angles 90.00, 90.00, 90.00 degrees
Space group Fddd (No. 70, origin choice 2)
Asymmetric unit:
Na1 0.089 0.375 0.375 [16 per cell]
Na2 0.125 0.125 0.335 [16 per cell]
Mn1 0.000 0.000 0.500 [16 per cell]
As1 0.125 0.125 0.125 [8 per cell]
C1 0.036 0.042 0.717 [32 per cell]
O1 0.024 0.275 0.902 [32 per cell]
O2 0.026 0.114 0.771 [32 per cell]
O3 0.051 0.060 0.054 [32 per cell]
O4 0.106 0.267 0.515 [32 per cell]



First-principles (GGA+U) data for Mn26As18CO57 after structural relaxation, as listed in the Materials Project.

Values from the calculation:
VASP energy   -7.086 eV per atom

Cell lengths 13.6799, 13.6799, 9.0014 Å; angles 90.00, 90.00, 120.00 degrees
Space group P3 (No. 143)
Asymmetric unit:
Mn1 0.0000 0.0000 0.0046 [1 per cell]
Mn2 0.0038 0.7470 0.9937 [3 per cell]
Mn3 0.0117 0.2519 0.9536 [3 per cell]
Mn4 0.0865 0.6656 0.3000 [3 per cell]
Mn5 0.0891 0.4160 0.3066 [3 per cell]
Mn6 0.1588 0.8278 0.6076 [3 per cell]
Mn7 0.4137 0.0764 0.6127 [3 per cell]
Mn8 0.4268 0.3451 0.6524 [3 per cell]
Mn9 0.4941 0.0019 0.0000 [3 per cell]
Mn10 0.6667 0.3333 0.6010 [1 per cell]
As1 0.0405 0.8625 0.2902 [3 per cell]
As2 0.1429 0.5711 0.6510 [3 per cell]
As3 0.1641 0.0822 0.6808 [3 per cell]
As4 0.2376 0.7611 0.9561 [3 per cell]
As5 0.5028 0.2508 0.9259 [3 per cell]
As6 0.5285 0.1510 0.3157 [3 per cell]
C1 0.3333 0.6667 0.3033 [1 per cell]
O1 0.0128 0.4948 0.7584 [3 per cell]
O2 0.0763 0.1703 0.1060 [3 per cell]
O3 0.0871 0.6430 0.5394 [3 per cell]
O4 0.1108 0.4201 0.0666 [3 per cell]
O5 0.1108 0.4492 0.5422 [3 per cell]
O6 0.1151 0.6707 0.0638 [3 per cell]
O7 0.1533 0.3100 0.3657 [3 per cell]
O8 0.1614 0.8147 0.8484 [3 per cell]
O9 0.1666 0.0919 0.8837 [3 per cell]
O10 0.2464 0.0133 0.6776 [3 per cell]
O11 0.2559 0.2250 0.6321 [3 per cell]
O12 0.2762 0.7194 0.3033 [3 per cell]
O13 0.2789 0.2462 0.2262 [3 per cell]
O14 0.3873 0.0870 0.3798 [3 per cell]
O15 0.4111 0.1081 0.9752 [3 per cell]
O16 0.4208 0.3198 0.9306 [3 per cell]
O17 0.5000 0.2412 0.7229 [3 per cell]
O18 0.5072 0.4921 0.2455 [3 per cell]
O19 0.5723 0.4101 0.5005 [3 per cell]



First-principles (GGA+U) data for Na5Ni2AsC4O16 after structural relaxation, as listed in the Materials Project.

Values from the calculation:
VASP energy   -6.149 eV per atom
Energy above the lowest structure with this stoichiometry   5.1 meV/atom

Cell lengths 14.041, 14.061, 14.108 Å; angles 90.00, 90.00, 90.00 degrees
Space group Fdd2 (No. 43)
Asymmetric unit:
Na1 0.000 0.000 0.000 [8 per cell]
Na2 0.006 0.285 0.713 [16 per cell]
Na3 0.035 0.244 0.463 [16 per cell]
Ni1 0.124 0.376 0.090 [16 per cell]
As1 0.000 0.000 0.216 [8 per cell]
C1 0.089 0.089 0.627 [16 per cell]
C2 0.090 0.410 0.305 [16 per cell]
O1 0.021 0.104 0.567 [16 per cell]
O2 0.021 0.396 0.363 [16 per cell]
O3 0.070 0.430 0.644 [16 per cell]
O4 0.074 0.073 0.281 [16 per cell]
O5 0.099 0.145 0.698 [16 per cell]
O6 0.101 0.229 0.069 [16 per cell]
O7 0.101 0.271 0.862 [16 per cell]
O8 0.103 0.352 0.234 [16 per cell]



| no. | energy of formation from the pure elements (meV/atom) | size of the total moment (μB per formula unit) | E (MP2020) (Ha/atom) |
| --- | --- | --- | --- |
| 1 | -1848 | 7.00 | -0.2644 |
| 2 | -1882 | 126.18 | -0.2901 |
| 3 | -1762 | 6.00 | -0.2471 |
'''

**To do**
Filter the calculation results further above: keep the lines with the word "meV".

**Completed**
Energy above the lowest structure with this stoichiometry   5.1 meV/atom
| no. | energy of formation from the pure elements (meV/atom) | size of the total moment (μB per formula unit) | E (MP2020) (Ha/atom) |